Minneapolis moves forward city IDs for undocumented immigrants

City council members listen at a hearing.
City council members listen at a hearing.
Lacey Young | MPR News file

Minneapolis is one step closer to creating municipal IDs for undocumented immigrants.

A council committee voted unanimously Monday to move ahead with the program that could give people easier access to housing, banking and health care.

Jovita Morales believes the program will help her. She has lived in Minnesota for over 20 years, but she doesn't have state-issued identification. She uses her passport or consular ID when necessary. She still can't do things like easily cash her paychecks.

"I couldn't open a bank account without an ID," Morales said.

Morales told a Minneapolis city council committee she would avoid calling the police for help, and she had a hard time securing places to live. "I've been challenged to rent apartments," she said. "Every time when I wanted to rent an apartment, they ask for a Social Security number or they ask you all the time for a state ID."

Several people spoke to the city council committee a the public hearing in favor of the proposed municipal ID program. No one spoke against it. City staff have been working on the proposal for more than a year.

Others at the hearing said the ID would help them pick up children from school without any trouble, as well as offer a host of other benefits they don't currently have.

Uriel Pérez-Espinoza is vice president of the union UNITE HERE, with 5,000 members who work in restaurants, hotels and sports venues.

"Our members are proud to have free health insurance paid for by the employer," Pérez-Espinoza said. "But they cannot book an appointment with a doctor. Why? They don't have an ID. They cannot pick up their prescription."

To apply for a municipal ID, residents would need another form of identification like a passport or consular ID and proof of residency in Minneapolis.

**Attached: records of crystals**
┌──
Entry 1:
Calculated powder X-ray diffraction pattern of MoS2Cl3 for a wavelength of 1.5418 Å, from a structure optimized by DFT (GGA-PBE).
No peak broadening, texture or thermal motion is included.

Structure:
a = 6.2530 Å, b = 7.7138 Å, c = 14.3666 Å
α = 90.00°, β = 114.20°, γ = 90.00°
Space group P2_1/c (No. 14)
Asymmetric unit:
Mo (0.2019, 0.0933, 0.0052) [4 per cell]
S (0.1589, 0.5489, 0.6485) [4 per cell]
S (0.1851, 0.7167, 0.5479) [4 per cell]
Cl (0.2645, 0.1790, 0.6349) [4 per cell]
Cl (0.2756, 0.1695, 0.4163) [4 per cell]
Cl (0.3582, 0.5717, 0.3895) [4 per cell]

Peak list (10 most intense, 10 to 90 degrees two-theta, in order of rising 2θ)
- (0 1 1), 2θ 13.32, rel. 100.0
- (0 0 2), 2θ 13.51, rel. 78.5
- (1 1 0), 2θ 19.36, rel. 15.3
- (1 1 -2), 2θ 19.63, rel. 12.0
- (1 2 -3), 2θ 30.64, rel. 26.1
- (2 0 0), 2θ 31.37, rel. 20.4
- (1 3 -2), 2θ 38.55, rel. 17.9
- (1 2 -5), 2θ 39.13, rel. 10.1
- (2 0 2), 2θ 39.29, rel. 10.3
- (1 3 4), 2θ 51.64, rel. 9.5



Entry 2:
Calculated powder X-ray diffraction pattern of Mg14SnMo for a wavelength of 1.5418 Å, from a structure optimized by DFT (GGA-PBE).
No peak broadening, texture or thermal motion is included.

Structure:
a = 6.2574 Å, b = 6.2574 Å, c = 10.2117 Å
α = 90.00°, β = 90.00°, γ = 120.00°
Space group P-6m2 (No. 187)
Asymmetric unit:
Mg (0.0000, 0.0000, 0.2483) [2 per cell]
Mg (0.0102, 0.5051, 0.2408) [6 per cell]
Mg (0.3329, 0.1665, 0.5000) [3 per cell]
Mg (0.3332, 0.1666, 0.0000) [3 per cell]
Sn (0.3333, 0.6667, 0.5000) [1 per cell]
Mo (0.3333, 0.6667, 0.0000) [1 per cell]

Peak list (10 most intense, 10 to 90 degrees two-theta, in order of rising 2θ)
- (1 0 0), 2θ 16.36, rel. 45.2
- (1 0 2), 2θ 23.95, rel. 32.6
- (2 0 0), 2θ 33.06, rel. 29.1
- (0 0 4), 2θ 35.15, rel. 25.8
- (2 0 2), 2θ 37.58, rel. 100.0
- (2 0 4), 2θ 49.03, rel. 18.8
- (2 2 0), 2θ 59.05, rel. 16.7
- (2 0 6), 2θ 64.67, rel. 23.4
- (2 2 4), 2θ 70.62, rel. 19.0
- (4 0 2), 2θ 72.14, rel. 17.8



Entry 3:
Calculated powder X-ray diffraction pattern of Cd2P2H10CCl2O11 for a wavelength of 1.5418 Å, from a structure optimized by DFT (GGA-PBE).
No peak broadening, texture or thermal motion is included.

Structure:
a = 5.7224 Å, b = 9.6817 Å, c = 12.5353 Å
α = 78.19°, β = 82.17°, γ = 75.11°
Space group P-1 (No. 2)
Asymmetric unit:
Cd (0.1391, 0.0687, 0.2506) [2 per cell]
Cd (0.2525, 0.4033, 0.9189) [2 per cell]
P (0.1460, 0.7401, 0.1822) [2 per cell]
P (0.3088, 0.3965, 0.1867) [2 per cell]
H (0.0584, 0.8305, 0.9635) [2 per cell]
H (0.1306, 0.1671, 0.6191) [2 per cell]
H (0.2132, 0.2698, 0.5124) [2 per cell]
H (0.2260, 0.8491, 0.5692) [2 per cell]
H (0.2370, 0.7514, 0.8760) [2 per cell]
H (0.2630, 0.0444, 0.4641) [2 per cell]
H (0.3812, 0.9477, 0.8745) [2 per cell]
H (0.3828, 0.8014, 0.6731) [2 per cell]
H (0.4525, 0.9093, 0.4237) [2 per cell]
H (0.4934, 0.0825, 0.8811) [2 per cell]
C (0.1685, 0.5501, 0.2635) [2 per cell]
Cl (0.1351, 0.4671, 0.6873) [2 per cell]
Cl (0.3294, 0.5263, 0.3814) [2 per cell]
└──

The ID could be used as a transit card and a library card. It also would be recognized by the Minneapolis Police Department. But the ID cannot be used to vote or give permission to drive.

Daniel Romero, a community advocate with the First Congregational Church of Minnesota, cautioned the city council committee about creating a program that could do the opposite of helping undocumented immigrants.

"It's important for everyone to understand that passing an ordinance to create municipal ID does not put anybody's individual private data at risk," Romero said.

Minneapolis follows cities like Chicago, New York and San Francisco that have municipal IDs. Northfield was the first city in Minnesota to create a municipal ID program last year.

If approved by the full council, the city plans to dedicate $200,000 for a program manager to start, as well as search for vendors to create the technology that would manage the database.